Sharon Hancock Has Helped Thousands Of People Flourish, And She Can Help You Too

If you are struggling with your relationships or life in general, Sharon can help you turn everything about through guided intervention.

Who is Sharon Hancock

Sharon Hancock has been a psychotherapist and counselor for the last 30 years, specializing in the areas of co-dependency, relationships, Essence, and Tantra. After completing a psychology degree at the University of Cape Town in South Africa, she moved to London and completed further education in Somatic Psychotherapy. She studied Reichian Bodywork with Gerda Boyesen and completed a two-year professional course. While in London, she studied the humanistic psychologies that were emerging from Esalen Institute in California. These include Psychodrama, Gestalt, and Family systems.

Sharon’s Work

Materials data, kept here for reference:
'''
PrSmNi | PBE-GGA | optimized geometry

Unit cell a=3.517 b=3.517 c=12.865 alpha=90.00 beta=90.00 gamma=90.00
Space group I4mm (No. 107)
Inequivalent atoms, fractional coordinates:
Pr 0.000 0.000 0.000 [2 per cell]
Sm 0.000 0.000 0.741 [2 per cell]
Ni 0.000 0.000 0.362 [2 per cell]

Calculated values
Its formation energy is -0.132 eV per atom. The value obtained for the energy is -31.35 eV/cell. Its total magnetization is 0.0 μB/f.u. Its energy above the most stable polymorph in this dataset is 75 meV/atom.

~~~~~

(1)
Y3Mg3AlAg2 | the Open Quantum Materials Database | PBE | relaxed; final energy = -3.988 eV per atom; SG = P-62m
1.0
7.6730 0.0000 0.0000
-3.8365 6.6450 0.0000
0.0000 0.0000 4.1745
Y Mg Al Ag
3 3 1 2
Cartesian
-2.2555 3.9066 0.0000
1.5810 2.7384 0.0000
4.5110 0.0000 0.0000
-0.9471 1.6404 2.0873
1.8941 0.0000 2.0873
2.8894 5.0046 2.0873
0.0000 0.0000 0.0000
0.0000 4.4300 2.0873
3.8365 2.2150 2.0873


(2)
TeIrPd2 | the Open Quantum Materials Database | PBE | relaxed; final energy = -5.527 eV per atom; SG = F-43m
1.0
6.4409 0.0000 0.0000
0.0000 6.4409 0.0000
0.0000 0.0000 6.4409
Te Ir Pd
4 4 8
Cartesian
0.0000 0.0000 0.0000
0.0000 3.2205 3.2205
3.2205 0.0000 3.2205
3.2205 3.2205 0.0000
1.6102 1.6102 1.6102
1.6102 4.8307 4.8307
4.8307 1.6102 4.8307
4.8307 4.8307 1.6102
0.0000 0.0000 3.2205
0.0000 3.2205 0.0000
1.6102 1.6102 4.8307
1.6102 4.8307 1.6102
3.2205 0.0000 0.0000
3.2205 3.2205 3.2205
4.8307 1.6102 1.6102
4.8307 4.8307 4.8307


(3)
CoSi2Pd | the Open Quantum Materials Database | PBE | relaxed; final energy = -5.701 eV per atom; SG = F-43m
1.0
5.9700 0.0000 0.0000
0.0000 5.9700 0.0000
0.0000 0.0000 5.9700
Co Si Pd
4 8 4
Cartesian
0.0000 0.0000 0.0000
0.0000 2.9850 2.9850
2.9850 0.0000 2.9850
2.9850 2.9850 0.0000
0.0000 0.0000 2.9850
0.0000 2.9850 0.0000
1.4925 1.4925 1.4925
1.4925 4.4775 4.4775
2.9850 0.0000 0.0000
2.9850 2.9850 2.9850
4.4775 1.4925 4.4775
4.4775 4.4775 1.4925
1.4925 1.4925 4.4775
1.4925 4.4775 1.4925
4.4775 1.4925 1.4925
4.4775 4.4775 4.4775

~~~~~

--- A ---
# Ho3MgAl

Crystalline Ho3MgAl at its relaxed geometry (GGA-PBE, Alexandria via LeMat-Bulk).

Cell lengths 4.926, 8.201, 8.201 Å; angles 119.99, 90.00, 90.00 degrees
Positions (direct):
Al: 0.750 0.667 0.333
Al: 0.250 0.333 0.667
Ho: 0.750 0.198 0.802
Ho: 0.250 0.397 0.198
Mg: 0.500 0.000 0.000
Mg: 0.000 0.000 0.000
Ho: 0.250 0.802 0.603
Ho: 0.750 0.603 0.802
Ho: 0.750 0.198 0.397
Ho: 0.250 0.802 0.198

--- B ---
# Ho3MgAl

Crystalline Ho3MgAl at its relaxed geometry (GGA-PBE, Alexandria via LeMat-Bulk).

Cell lengths 5.105, 5.104, 10.394 Å; angles 90.00, 75.78, 90.00 degrees
Positions (direct):
Mg: 0.981 0.250 0.686
Mg: 0.667 0.750 0.314
Ho: 0.762 0.250 0.124
Ho: 0.886 0.750 0.876
Al: 0.483 0.750 0.682
Ho: 0.074 0.750 0.501
Ho: 0.387 0.250 0.874
Al: 0.165 0.250 0.318
Ho: 0.261 0.750 0.126
Ho: 0.575 0.250 0.499

Which of them is the least stable? Correct choice: A.

--- A ---
# HoMgAl2
'''

Sharon’s work is based on the interface between psychotherapy, spirituality, and meditation. In 1990 she became interested in co-dependency and trained in couple counseling at the Couples Institute in Palo Alto, California. Today she works in group, training, and individual setting in couple, relationship, and family therapy.

What She Offers

(The entry is interrupted by crystal structures)
____________
# GGA-PBE Al2SiAuSe, optimized geometry
# * formation energy from raw total energies: 0.839 eV/atom
data_Al2SiAuSe
_space_group_name_H-M_alt 'P 4/m m m'
_space_group_IT_number 123
_space_group_name_Hall '-P 4 2'
_cell_length_a 4.898
_cell_length_b 4.898
_cell_length_c 4.988
_cell_angle_alpha 90.00
_cell_angle_beta 90.00
_cell_angle_gamma 90.00
loop_
_atom_site_label
_atom_site_fract_x
_atom_site_fract_y
_atom_site_fract_z
Al1 0.000 0.500 0.000
Si1 0.000 0.000 0.500
Au1 0.500 0.500 0.500
Se1 0.500 0.500 0.000

# GGA-PBE Ti2IrPt2, optimized geometry
# * energy of formation from the pure elements: -1.07 eV per formula unit
data_Ti2IrPt2
_space_group_name_H-M_alt 'C m m m'
_space_group_IT_number 65
_space_group_name_Hall '-C 2 2'
_cell_length_a 4.587
_cell_length_b 7.584
_cell_length_c 5.033
_cell_angle_alpha 90.00
_cell_angle_beta 90.00
_cell_angle_gamma 90.00
loop_
_atom_site_label
_atom_site_fract_x
_atom_site_fract_y
_atom_site_fract_z
Ti1 0.000 0.000 0.239
Ir1 0.000 0.500 0.500
Pt1 0.000 0.331 0.000

# GGA-PBE La4OsSe2S, optimized geometry
# * formation energy from raw total energies: -1.524 eV/atom
data_La4OsSe2S
_space_group_name_H-M_alt 'P 1 2/m 1'
_space_group_IT_number 10
_space_group_name_Hall '-P 2y'
_cell_length_a 7.391
_cell_length_b 4.225
_cell_length_c 7.508
_cell_angle_alpha 90.00
_cell_angle_beta 107.69
_cell_angle_gamma 90.00
loop_
_atom_site_label
_atom_site_fract_x
_atom_site_fract_y
_atom_site_fract_z
La1 0.237 0.000 0.229
La2 0.240 0.500 0.774
Os1 0.000 0.500 0.000
Se1 0.000 0.000 0.500
Se2 0.500 0.500 0.500
S1 0.500 0.000 0.000

# GGA-PBE KCrPb2, optimized geometry
# * energy of formation from the pure elements: 0.71 eV per formula unit
data_KCrPb2
_space_group_name_H-M_alt 'P 4/m m m'
_space_group_IT_number 123
_space_group_name_Hall '-P 4 2'
_cell_length_a 3.617
_cell_length_b 3.617
_cell_length_c 8.774
_cell_angle_alpha 90.00
_cell_angle_beta 90.00
_cell_angle_gamma 90.00
loop_
_atom_site_label
_atom_site_fract_x
_atom_site_fract_y
_atom_site_fract_z
K1 0.000 0.000 0.000
Cr1 0.000 0.000 0.500
Pb1 0.500 0.500 0.309

# GGA-PBE Ca2YMgP, optimized geometry
# * energy of formation from the pure elements: -2.32 eV per formula unit
data_Ca2YMgP
_space_group_name_H-M_alt 'P 4/m m m'
_space_group_IT_number 123
_space_group_name_Hall '-P 4 2'
_cell_length_a 5.521
_cell_length_b 5.521
_cell_length_c 5.378
_cell_angle_alpha 90.00
_cell_angle_beta 90.00
_cell_angle_gamma 90.00
loop_
_atom_site_label
_atom_site_fract_x
_atom_site_fract_y
_atom_site_fract_z
Ca1 0.000 0.500 0.000
Y1 0.000 0.000 0.500
Mg1 0.500 0.500 0.500
P1 0.000 0.000 0.000

# GGA-PBE Ca2ScCu2, optimized geometry
# * energy of formation from the pure elements: 0.95 eV per formula unit
data_Ca2ScCu2
_space_group_name_H-M_alt 'P 4/m b m'
_space_group_IT_number 127
_space_group_name_Hall '-P 4 2ab'
_cell_length_a 8.343
_cell_length_b 8.343
_cell_length_c 3.250
_cell_angle_alpha 90.00
_cell_angle_beta 90.00
_cell_angle_gamma 90.00
loop_
_atom_site_label
_atom_site_fract_x
____________

Sharon’s work takes place in a gentle and non-invasive space. Clients are supported to inquire compassionately into the issues, conflicts, fears, and tensions that hold them back from living at their full potential.

Counseling and Consulting

Sharon covers a wide facet of individual and family problems through her counseling and consulting.

Professional Training

Sharon offers professional training spread over 4 modules that helps professionals and individuals better understand themselves and their surroundings.

-- What comes next are crystal structures, not part of the entry --
<<<
# PuMgPaOs, optimized geometry, DFT PBE
data_PuMgPaOs
_chemical_formula_sum 'Pu4 Mg4 Pa4 Os4'
_space_group_name_H-M_alt 'F -4 3 m'
_space_group_IT_number 216
_space_group_name_Hall 'F -4 2 3'
_cell_length_a 6.818
_cell_length_b 6.818
_cell_length_c 6.818
_cell_angle_alpha 90.00
_cell_angle_beta 90.00
_cell_angle_gamma 90.00
loop_
_atom_site_label
_atom_site_type_symbol
_atom_site_fract_x
_atom_site_fract_y
_atom_site_fract_z
Pu1 Pu 0.000 0.000 0.000
Mg1 Mg 0.250 0.250 0.250
Pa1 Pa 0.250 0.250 0.750
Os1 Os 0.000 0.000 0.500
# * ΔE_f: -4.4 kJ per mole of atoms



# MgPaOsRh, optimized geometry, DFT PBE
data_MgPaOsRh
_chemical_formula_sum 'Mg4 Pa4 Os4 Rh4'
_space_group_name_H-M_alt 'F -4 3 m'
_space_group_IT_number 216
_space_group_name_Hall 'F -4 2 3'
_cell_length_a 6.636
_cell_length_b 6.636
_cell_length_c 6.636
_cell_angle_alpha 90.00
_cell_angle_beta 90.00
_cell_angle_gamma 90.00
loop_
_atom_site_label
_atom_site_type_symbol
_atom_site_fract_x
_atom_site_fract_y
_atom_site_fract_z
Mg1 Mg 0.000 0.000 0.000
Pa1 Pa 0.000 0.000 0.500
Os1 Os 0.250 0.250 0.750
Rh1 Rh 0.250 0.250 0.250
# * ΔE_f: -38.8 kJ per mole of atoms



# MgPaOsRu, optimized geometry, DFT PBE
data_MgPaOsRu
_chemical_formula_sum 'Mg4 Pa4 Os4 Ru4'
_space_group_name_H-M_alt 'F -4 3 m'
_space_group_IT_number 216
_space_group_name_Hall 'F -4 2 3'
_cell_length_a 6.600
_cell_length_b 6.600
_cell_length_c 6.600
_cell_angle_alpha 90.00
_cell_angle_beta 90.00
_cell_angle_gamma 90.00
loop_
_atom_site_label
_atom_site_type_symbol
_atom_site_fract_x
_atom_site_fract_y
_atom_site_fract_z
Mg1 Mg 0.000 0.000 0.000
Pa1 Pa 0.000 0.000 0.500
Os1 Os 0.250 0.250 0.250
Ru1 Ru 0.250 0.250 0.750
# * ΔE_f: -25.1 kJ per mole of atoms



# MgPaZnOs, optimized geometry, DFT PBE
data_MgPaZnOs
_chemical_formula_sum 'Mg4 Pa4 Zn4 Os4'
_space_group_name_H-M_alt 'F -4 3 m'
_space_group_IT_number 216
_space_group_name_Hall 'F -4 2 3'
_cell_length_a 6.718
_cell_length_b 6.718
_cell_length_c 6.718
_cell_angle_alpha 90.00
_cell_angle_beta 90.00
_cell_angle_gamma 90.00
loop_
_atom_site_label
_atom_site_type_symbol
_atom_site_fract_x
_atom_site_fract_y
_atom_site_fract_z
Mg1 Mg 0.000 0.000 0.000
Pa1 Pa 0.000 0.000 0.500
Zn1 Zn 0.250 0.250 0.250
Os1 Os 0.250 0.250 0.750
# * ΔE_f: -4.3 kJ per mole of atoms



# MgOs4Pb, optimized geometry, DFT PBE
data_MgOs4Pb
_chemical_formula_sum 'Mg4 Os16 Pb4'
_space_group_name_H-M_alt 'F -4 3 m'
_space_group_IT_number 216
_space_group_name_Hall 'F -4 2 3'
_cell_length_a 7.491
_cell_length_b 7.491
_cell_length_c 7.491
_cell_angle_alpha 90.00
_cell_angle_beta 90.00
_cell_angle_gamma 90.00
loop_
_atom_site_label
_atom_site_type_symbol
_atom_site_fract_x
_atom_site_fract_y
_atom_site_fract_z
Mg1 Mg 0.000 0.000 0.000
Os1 Os 0.125 0.125 0.625
Pb1 Pb 0.250 0.250 0.250
# * ΔE_f: 65.1 kJ per mole of atoms



# MgOsPb4, optimized geometry, DFT PBE
data_MgOsPb4
_chemical_formula_sum 'Mg4 Os4 Pb16'
_space_group_name_H-M_alt 'F -4 3 m'
_space_group_IT_number 216
_space_group_name_Hall 'F -4 2 3'
>>>

Why Choose Sharon Hancock

Sharon has trained at prestigious institutes and continues to upgrade her knowledge and skill set to suit modern-day problems.


Find out how I have helped numerous clients gain back control of their life and how you can too. Here’s what others are saying.
What I learned with her in supervision, you cannot learn from books or university. Supervision with Sharon is precious, and it has shifted my way of practicing with my clients. In her hands, therapy becomes an art, and she excels at it. It has been a big chance to be able to learn from her.
Sharon has really supported my womanhood over the years and has both taught me and modeled what it’s like to embody the feminine with so much strength and vulnerability. She has and continues to inspire me to listen to my discernment, intuition, and depth, especially in a buzzy world with a growing commercialized spirituality.
Sharon Hancock has been my therapist for years. After many years in therapy, meeting her was a turning point in my life that truly changed it. I also have had the chance to work in supervision with her for my work as a therapist. Sharon is the most outstanding therapist I have ever worked with. She is extremely experienced, insightful, wise, brilliant, and compassionate.
There are therapists, and there is Sharon Hancock. Sharon is an exceptionally deeply skilled, present, and heartfelt therapist who has made a big impact on my life through and through. What I love about working with Sharon the most is not only that she empowers me to show up as myself but also challenges me with so much love and kindness to show up as an adult and own my part of things.
I have had the privilege to work with Sharon in her training for many years, and I have to say that she is always surprising in that there is always something new and profound that she teaches. Her command of psychological theory is outstanding, as is her way of transmitting it to her students. The practical work and the demos are really impressive, and she teaches by example. We learn how to trust our own intuition and individual style of working with people.